Many cinephiles believe that director Michael Bay represents the End of Movies, and it’s true that two words sum up his touch in the Hasbro-affiliated Transformers series: bloat and chop. But as my longtime readers know, I kinda … sorta … like him. I thought the third Transformers film and last year’s satirical crime movie Pain and Gain were cruelly underrated, the former positively engorged with invention, the latter a droll satire in love with its own sleaze. But Transformers: Age of Extinction is nearly three %$^&%!!# hours, and they’re brain-freezing.
Ehren Kruger is credited with the screenplay, and if I were him, I’d have gone with a pseudonym — say, Optimus Prime. The kindest thing I can say about the script is that it’s incoherent. First, dinosaurs get attacked by aliens, then a tony blonde finds something in the Arctic that will “change our view of the history of the world,” and then a younger blonde in short-shorts opens her mail while the camera hugs her butt and ex-CIA agent Kelsey Grammer holds forth (in a Dick Cheney drone) on the need to protect mankind by wiping out Transformers — including the ones who’d saved the Earth in the previous three installments. Finally, we meet the father of the girl in short shorts, a dotty inventor who tinkers in a vast barn. He’s played by Mark Wahlberg.
Now, I’m sure there are people less suited to being cast as an egghead than Wahlberg, with his swollen pecs and biceps and streetwise Boston diction. Let me think … don’t rush me … Sylvester Stallone? Justin Bieber? I’ll get back to you. But Wahlberg does have one enormous asset: He’s not Shia LeBeouf. Also, I like seeing him in pretty much anything. Even when he’s not too sharp, he gives the movie some human credibility.
Attached: materials data >
-- begin --
No. 1
Here is a geometry-optimized Ce3Pm2DyAs6 structure from Alexandria via LeMat-Bulk. Energies are from PBE.

```
12
Lattice="3.6441 -6.3118 0.0000 3.6441 6.3118 0.0000 -2.4311 0.0000 6.8655" Properties=species:S:1:pos:R:3 pbc="T T T"
Ce 0.0000 0.0000 0.0000
Ce 3.6441 2.1165 0.0000
Ce 3.6441 -2.1165 0.0000
Pm 2.4286 4.2125 3.4328
Pm 2.4286 -4.2125 3.4328
Dy 2.4286 0.0000 3.4328
As 1.2299 2.0784 1.7113
As 0.0298 0.0000 5.1619
As 1.2299 -2.0784 1.7113
As 3.6272 2.0784 5.1543
As 4.8273 0.0000 1.7036
As 3.6272 -2.0784 5.1543
```

Its theoretical density is 7.0 g cm⁻³. For the density of states at the Fermi level, the calculation gives 16.7 states/eV per cell. As for the electronic total energy: -6.46 eV per atom. For the formation energy, the calculation gives -17.766 eV per formula unit.

=====

No. 2
Here is a geometry-optimized CePm2DyAs4 structure from Alexandria via LeMat-Bulk. Energies are from PBE.

```
8
Lattice="7.2677 0.0000 0.0000 0.0000 4.2016 0.0000 -2.4181 0.0000 6.8659" Properties=species:S:1:pos:R:3 pbc="T T T"
Ce 0.0000 0.0000 0.0000
Pm -1.2090 2.1008 3.4329
Pm 2.4248 0.0000 3.4329
Dy 3.6339 2.1008 0.0000
As 1.2227 2.1008 1.6795
As 0.0083 0.0000 5.1972
As 4.8414 0.0000 1.6686
As 3.6270 2.1008 5.1864
```

Its theoretical density is 7.1 g cm⁻³. For the density of states at the Fermi level, the calculation gives 6.3 states/eV per cell. As for the electronic total energy: -6.34 eV per atom. For the formation energy, the calculation gives -12.054 eV per formula unit.

=====

No. 3
Here is a geometry-optimized Ce3PmDy2As6 structure from Alexandria via LeMat-Bulk. Energies are from PBE.

```
12
Lattice="3.6281 -6.2842 0.0000 3.6281 6.2842 0.0000 -2.4200 0.0000 6.8312" Properties=species:S:1:pos:R:3 pbc="T T T"
Ce 0.0000 0.0000 0.0000
Ce 3.6281 2.0823 0.0000
Ce 3.6281 -2.0823 0.0000
Pm 2.4181 0.0000 3.4156
Dy 2.4181 4.1854 3.4156
Dy 2.4181 -4.1854 3.4156
As 1.1936 2.1207 1.7162
As -0.0320 0.0000 5.1077
As 1.1936 -2.1207 1.7162
As 3.6426 2.1207 5.1150
As 4.8682 0.0000 1.7236
As 3.6426 -2.1207 5.1150
```

Its theoretical density is 7.1 g cm⁻³. For the density of states at the Fermi level, the calculation gives 17.0 states/eV per cell. As for the electronic total energy: -6.45 eV per atom. For the formation energy, the calculation gives -17.762 eV per formula unit.

=====

No. 4
Here is a geometry-optimized CePm2Dy3As6 structure from Alexandria via LeMat-Bulk. Energies are from PBE.

```
12
Lattice="9.0854 -2.0894 0.0000 9.0854 2.0894 0.0000 -1.9044 0.0000 8.1280" Properties=species:S:1:pos:R:3 pbc="T T T"
Ce 0.0000 0.0000 0.0000
Pm 4.7788 0.0000 5.4046
Pm 11.4875 0.0000 2.7234
Dy -0.9522 0.0000 4.0640
Dy 5.7225 0.0000 1.3590
Dy 10.5439 0.0000 6.7691
As 1.8766 0.0000 4.7771
As 2.8817 0.0000 0.6367
As 8.5758 0.0000 2.0399
As 7.6905 0.0000 6.0881
As 13.3846 0.0000 7.4913
As 14.3897 0.0000 3.3509
```
-- stop --
There are excellent sequences early on, among them the heartbreaking destruction of a good Transformer by Titus Welliver as a chill assassin and a bad Transformer with a reptile head. (He rips out the fallen robot’s “seed” — i.e., its soul and the repository of its memories.) Bay’s images are ravishingly layered, and they pop. He doesn’t sprinkle CGI like MSG over inert frames, the way George Lucas did in his last Star Wars pictures. The camera hurtles to the heights; humans rush through labyrinths of whirling steel; and the transformations from cars to behemoths end with a flourish, as if the robots are body builders showing off their muscles. But Bay doesn’t know when he should stop flexing; he directs like a steroid-addled meathead. He gives us hammy, low-angle shots of nearly every character, and he doesn’t care about connecting those amazing frames. Nearly every cut feels like a jump cut.
The Transformers films are essentially sci-fi war movies, and this one features four different armies fighting one another — among them the good guys, the ex-CIA agents in league with the military-industrial complex and the mean reptile Transformer, and some souped-up new Transformers (recycled from Decepticons) assembled in a lab. Wahlberg labors to protect his new buddy, Optimus Prime, and O.P.’s remaining comrades from being captured and experimented on, a job in which he’s aided by his daughter and her hot-rodding Irish boyfriend, who has the distinction of being even less intelligible than Wahlberg. John Turturro isn’t back. Instead, it’s Stanley Tucci who collects the big paycheck: He’s splendidly silly as a billionaire industrialist with a fetching Chinese partner (Bingbing Li) who kicks ass, all Chinese people being adept in the martial arts. Wahlberg and Welliver chase each other, Parkour style, down the balconies of a densely packed Hong Kong apartment building. Eventually, Optimus Prime seeks the help of bigger, badder transformers who’ve been imprisoned in a cave … and are you getting bored reading this? I’m losing steam …
Transformers: Age of Extinction is basically a shambles. If you do see it, I suggest you savor each image on its own terms as a work of CGI art. Dig the bombardment. Forget trying to figure out who’s zapping whom and why. Free your mind — or risk having it transformed into porridge.